_Material_
........
Formula: C50H54AsGeNO4PTi
Source: the Open Molecules 2025 dataset
Level of theory: the ωB97M-V functional and the def2-TZVPD basis

Calculated values
Energy above the lowest of the compared OMol25 structures with the same formula, charge and spin   296.7 kJ/mol
Total charge   +1
HOMO energy   -9.60 eV
Kohn-Sham gap   0.20364 Ha
Spin multiplicity   1
Calculated total energy   -212158.7107 eV

The geometry in XYZ format:
```
113
Properties=species:S:1:pos:R:3:mulliken_charge:R:1
As -1.336 -1.832 4.197 0.344
Ge 2.268 3.117 0.406 -0.424
Ti 0.501 1.985 -1.399 0.011
P 0.161 0.306 -3.254 2.730
O 0.176 2.951 0.264 0.543
O 2.053 2.961 -1.772 -0.358
O 2.201 1.344 0.164 0.472
O -1.535 3.990 -2.210 -0.751
N -1.031 -0.431 0.007 -0.542
C 2.570 0.997 2.569 -1.137
C -0.505 3.013 2.589 -1.207
C 2.751 0.436 1.196 1.340
C 3.995 -1.260 -5.390 -0.767
C -1.279 2.100 -6.710 -0.740
C 2.750 -1.227 -6.004 -1.009
C 2.982 -0.290 -3.408 -0.132
C -3.112 -1.977 -2.434 -0.580
C 0.808 -5.650 5.971 -0.672
C 1.690 -0.318 -4.029 0.363
C -1.105 3.770 -4.992 -1.116
C -1.411 -3.557 -3.013 -0.849
C 0.495 -3.253 6.092 -0.422
C 4.090 -0.732 -4.137 -0.202
C -2.950 -5.395 1.563 -0.722
C -0.732 2.788 -4.040 0.822
C 2.851 3.780 -2.669 1.416
C 1.576 -0.938 -5.310 -0.664
C -2.172 2.859 0.801 -1.112
C -4.150 -1.733 4.993 -0.095
C -0.448 0.446 -0.543 0.672
C -1.957 -3.180 2.916 0.287
C -2.858 -2.991 1.874 0.039
C -3.595 -1.417 7.712 -0.581
C -0.762 3.090 -2.630 0.533
C 4.257 0.128 0.917 -1.694
C -0.909 4.984 0.919 -1.384
C -1.330 3.460 -6.309 -0.909
C -2.833 -1.747 5.444 0.556
C -0.940 -1.148 -3.196 0.438
C -1.945 -5.602 2.478 -0.718
C 3.097 2.994 -3.955 -1.091
C -2.272 -0.943 -2.861 -0.715
C -0.565 -4.563 4.329 0.563
C -0.871 1.124 -5.797 -0.894
C 4.132 3.987 -1.901 -2.033
C 0.081 -5.719 4.805 -0.608
C -0.377 -3.321 5.010 -0.131
C -4.898 -1.449 7.253 -0.383
C -0.531 1.473 -4.463 -0.014
C -0.847 3.500 1.198 1.263
C -1.456 -4.483 3.194 0.331
C 2.011 5.085 -2.889 -0.843
C 0.971 -4.430 6.621 -0.662
C -2.538 -1.579 6.782 -0.434
C 1.990 -0.853 0.981 -1.245
C -2.702 -3.312 -2.553 -0.246
C -3.391 -4.113 1.226 -0.747
C -0.509 -2.459 -3.169 -0.433
C -5.186 -1.607 5.922 -0.643
H -4.159 -4.018 0.474 0.537
H 0.576 3.263 2.839 0.229
H -2.200 1.801 1.056 0.171
H 4.573 3.035 -1.589 0.383
H -1.555 4.265 -6.962 0.483
H 2.937 2.067 2.639 0.243
H -4.356 -1.872 3.936 0.257
H -4.076 -1.591 -1.994 0.332
H 4.891 -1.569 -5.874 0.432
H 4.102 2.584 -3.944 0.420
H -0.091 -6.684 4.353 0.312
H -1.419 1.812 -7.767 0.392
H 2.441 -1.744 1.511 0.458
H -1.076 3.442 3.394 0.503
H 1.957 -0.991 -0.127 0.104
H -5.652 -1.389 8.053 0.327
H 2.686 5.897 -3.313 0.486
H 3.080 0.471 3.379 0.506
H -1.223 4.766 -4.643 0.606
H 1.515 5.371 -1.919 0.018
H 1.183 4.857 -3.596 0.205
H 2.303 2.257 -4.188 0.059
H -0.839 0.119 -6.132 0.456
H 3.011 3.748 -4.828 0.313
H -1.528 -1.485 7.122 0.263
H 0.549 -2.713 -3.372 0.349
H 2.708 -1.570 -6.994 0.484
H -1.419 -6.527 2.681 0.349
H -3.219 -1.958 1.706 0.401
H -1.775 5.439 1.362 0.465
H 1.491 0.957 2.738 0.102
H 0.566 -1.218 -5.662 0.454
H 0.946 -0.819 1.359 0.027
H -2.645 0.053 -2.985 0.321
H 1.552 -4.376 7.518 0.405
H 3.068 0.093 -2.378 0.123
H 3.931 4.682 -1.049 0.396
H 4.626 -0.458 1.769 0.471
H 4.824 4.495 -2.588 0.577
H -0.031 5.592 1.178 0.290
H -3.210 -6.269 0.933 0.282
H 4.859 1.055 0.939 0.383
H 5.094 -0.614 -3.646 0.336
H 0.765 -2.301 6.550 0.485
H -3.044 3.363 1.334 0.486
H -3.444 -4.111 -2.285 0.354
H -0.923 -4.554 -3.146 0.334
H -0.560 1.884 2.606 0.110
H 1.292 -6.525 6.387 0.401
H -1.146 4.998 -0.193 0.216
H -6.209 -1.477 5.556 0.338
H -2.280 2.967 -0.297 0.172
H -3.351 -1.305 8.786 0.340
H 4.484 -0.357 -0.044 0.243
```

=====

Record 1
........
_Request_
Please copy every line further above that contains the word "Ti".
_Worked solution_
Ti 0.501 1.985 -1.399 0.011